(Assignment)
Reproduce the whole of the block below exactly.

(Excerpt)
┌──
# 1
## LiCd2Ag (GGA-PBEsol)

Data for a geometry-optimized LiCd2Ag structure.

a = 2.9773 Å, b = 3.8837 Å, c = 6.1879 Å
α = 90.00°, β = 90.00°, γ = 90.00°
Positions (direct):
Li (0.0000, 0.0000, 0.5137)
Cd (0.0000, 0.0000, 0.9840)
Ag (0.5000, 0.5000, 0.7340)
Cd (0.5000, 0.5000, 0.2683)

- offset from the most stable computed form (meV per atom) = 57
- calculated density (Mg/m³) = 7.9
- density of states at the Fermi level (states/eV/cell) = 1.083
- calculated total energy (eV/atom) = -2.0839
- formation energy from the elements (eV/atom) = -0.166



# 2
## K2SrMoOs (GGA-PBEsol)

Data for a geometry-optimized K2SrMoOs structure.

a = 5.7981 Å, b = 5.7981 Å, c = 5.8627 Å
α = 90.00°, β = 90.00°, γ = 90.00°
Positions (direct):
Os (0.5000, 0.5000, 0.5000)
Sr (0.0000, 0.0000, 0.5000)
K (0.5000, 0.0000, 0.0000)
Mo (0.0000, 0.0000, 0.0000)
K (0.0000, 0.5000, 0.0000)

- calculated density (Mg/m³) = 3.8
- density of states at the Fermi level (states/eV/cell) = 8.199
- calculated total energy (eV/atom) = -3.0785
- formation energy from the elements (eV/atom) = 2.540



# 3
## Li4MnTe3O12 (GGA-PBEsol)

Data for a geometry-optimized Li4MnTe3O12 structure.

a = 4.9345 Å, b = 5.0849 Å, c = 8.7139 Å
α = 90.00°, β = 90.00°, γ = 93.69°
Positions (direct):
O (0.7126, 0.6917, 0.0512)
O (0.2436, 0.3470, 0.7523)
O (0.7564, 0.6530, 0.7523)
Te (0.0000, 0.0000, 0.3998)
Li (0.0000, 0.5000, 0.1295)
Li (0.5000, 0.0000, 0.7042)
O (0.7943, 0.1636, 0.5829)
Mn (0.5000, 0.5000, 0.8973)
Te (0.5000, 0.0000, 0.0739)
O (0.7200, 0.1889, 0.2228)
O (0.6962, 0.1932, 0.9057)
O (0.2198, 0.3546, 0.4436)
O (0.7802, 0.6454, 0.4436)
O (0.2057, 0.8364, 0.5829)
O (0.3038, 0.8068, 0.9057)
O (0.2874, 0.3083, 0.0512)
Li (0.0000, 0.0000, 0.8230)
O (0.2800, 0.8111, 0.2228)
Li (0.5000, 0.5000, 0.3072)
Te (0.0000, 0.5000, 0.6069)

- calculated density (Mg/m³) = 5.0
- energy relative to the elements, uncorrected (eV per atom) = -1.4920
- calculated total energy (eV/atom) = -6.0519



# 4
## TcOs3 (GGA-PBEsol)

Data for a geometry-optimized TcOs3 structure.

a = 4.3129 Å, b = 5.4623 Å, c = 5.4598 Å
α = 59.98°, β = 90.00°, γ = 90.00°
Positions (direct):
Tc (0.7500, 0.5834, 0.8332)
Os (0.2500, 0.4152, 0.6679)
Os (0.7500, 0.0831, 0.3321)
Os (0.7500, 0.5848, 0.3321)
Os (0.7500, 0.0828, 0.8344)
Os (0.2500, 0.9172, 0.1656)
Tc (0.2500, 0.4166, 0.1668)
Os (0.2500, 0.9169, 0.6679)

- offset from the most stable computed form (meV per atom) = 2
- calculated density (Mg/m³) = 19.9
- density of states at the Fermi level (states/eV/cell) = 5.727
- calculated total energy (eV/atom) = -12.0473
- formation energy from the elements (eV/atom) = -0.069



# 5
## Rb2SbSe (GGA-PBEsol)

Data for a geometry-optimized Rb2SbSe structure.

a = 5.8790 Å, b = 5.8790 Å, c = 5.8790 Å
α = 60.00°, β = 60.00°, γ = 60.00°
Positions (direct):
Se (0.5000, 0.5000, 0.5000)
Rb (0.2500, 0.2500, 0.2500)
Sb (0.0000, 0.0000, 0.0000)
Rb (0.7500, 0.7500, 0.7500)

- calculated density (Mg/m³) = 4.3
- density of states at the Fermi level (states/eV/cell) = 5.262
- energy relative to the elements, uncorrected (eV per atom) = -0.1754
- calculated total energy (eV/atom) = -2.7899



# 6
## Ca4BeMo (GGA-PBEsol)

Data for a geometry-optimized Ca4BeMo structure.

a = 6.1937 Å, b = 6.1937 Å, c = 6.1937 Å
α = 60.00°, β = 60.00°, γ = 60.00°
Positions (direct):
Ca (0.3752, 0.8744, 0.3752)
Be (0.0000, 0.0000, 0.0000)
Ca (0.3752, 0.3752, 0.8744)
Ca (0.8744, 0.3752, 0.3752)
Mo (0.7500, 0.7500, 0.7500)
Ca (0.3752, 0.3752, 0.3752)

- calculated density (Mg/m³) = 2.6
- density of states at the Fermi level (states/eV/cell) = 5.392
- calculated total energy (eV/atom) = -2.7499
- formation energy from the elements (eV/atom) = 1.300



# 7
## InAg3 (GGA-PBEsol)

Data for a geometry-optimized InAg3 structure.

a = 5.2443 Å, b = 5.2443 Å, c = 5.2443 Å
α = 90.00°, β = 90.00°, γ = 90.00°
Positions (direct):
Ag (0.5000, 0.0000, 0.2500)
Ag (0.5000, 0.0000, 0.7500)
In (0.5000, 0.5000, 0.5000)
Ag (0.2500, 0.5000, 0.0000)
In (0.0000, 0.0000, 0.0000)
└──

(Worked solution)
# 1
## LiCd2Ag (GGA-PBEsol)

Data for a geometry-optimized LiCd2Ag structure.

a = 2.9773 Å, b = 3.8837 Å, c = 6.1879 Å
α = 90.00°, β = 90.00°, γ = 90.00°
Positions (direct):
Li (0.0000, 0.0000, 0.5137)
Cd (0.0000, 0.0000, 0.9840)
Ag (0.5000, 0.5000, 0.7340)
Cd (0.5000, 0.5000, 0.2683)

- offset from the most stable computed form (meV per atom) = 57
- calculated density (Mg/m³) = 7.9
- density of states at the Fermi level (states/eV/cell) = 1.083
- calculated total energy (eV/atom) = -2.0839
- formation energy from the elements (eV/atom) = -0.166



# 2
## K2SrMoOs (GGA-PBEsol)

Data for a geometry-optimized K2SrMoOs structure.

a = 5.7981 Å, b = 5.7981 Å, c = 5.8627 Å
α = 90.00°, β = 90.00°, γ = 90.00°
Positions (direct):
Os (0.5000, 0.5000, 0.5000)
Sr (0.0000, 0.0000, 0.5000)
K (0.5000, 0.0000, 0.0000)
Mo (0.0000, 0.0000, 0.0000)
K (0.0000, 0.5000, 0.0000)

- calculated density (Mg/m³) = 3.8
- density of states at the Fermi level (states/eV/cell) = 8.199
- calculated total energy (eV/atom) = -3.0785
- formation energy from the elements (eV/atom) = 2.540



# 3
## Li4MnTe3O12 (GGA-PBEsol)

Data for a geometry-optimized Li4MnTe3O12 structure.

a = 4.9345 Å, b = 5.0849 Å, c = 8.7139 Å
α = 90.00°, β = 90.00°, γ = 93.69°
Positions (direct):
O (0.7126, 0.6917, 0.0512)
O (0.2436, 0.3470, 0.7523)
O (0.7564, 0.6530, 0.7523)
Te (0.0000, 0.0000, 0.3998)
Li (0.0000, 0.5000, 0.1295)
Li (0.5000, 0.0000, 0.7042)
O (0.7943, 0.1636, 0.5829)
Mn (0.5000, 0.5000, 0.8973)
Te (0.5000, 0.0000, 0.0739)
O (0.7200, 0.1889, 0.2228)
O (0.6962, 0.1932, 0.9057)
O (0.2198, 0.3546, 0.4436)
O (0.7802, 0.6454, 0.4436)
O (0.2057, 0.8364, 0.5829)
O (0.3038, 0.8068, 0.9057)
O (0.2874, 0.3083, 0.0512)
Li (0.0000, 0.0000, 0.8230)
O (0.2800, 0.8111, 0.2228)
Li (0.5000, 0.5000, 0.3072)
Te (0.0000, 0.5000, 0.6069)

- calculated density (Mg/m³) = 5.0
- energy relative to the elements, uncorrected (eV per atom) = -1.4920
- calculated total energy (eV/atom) = -6.0519



# 4
## TcOs3 (GGA-PBEsol)

Data for a geometry-optimized TcOs3 structure.

a = 4.3129 Å, b = 5.4623 Å, c = 5.4598 Å
α = 59.98°, β = 90.00°, γ = 90.00°
Positions (direct):
Tc (0.7500, 0.5834, 0.8332)
Os (0.2500, 0.4152, 0.6679)
Os (0.7500, 0.0831, 0.3321)
Os (0.7500, 0.5848, 0.3321)
Os (0.7500, 0.0828, 0.8344)
Os (0.2500, 0.9172, 0.1656)
Tc (0.2500, 0.4166, 0.1668)
Os (0.2500, 0.9169, 0.6679)

- offset from the most stable computed form (meV per atom) = 2
- calculated density (Mg/m³) = 19.9
- density of states at the Fermi level (states/eV/cell) = 5.727
- calculated total energy (eV/atom) = -12.0473
- formation energy from the elements (eV/atom) = -0.069



# 5
## Rb2SbSe (GGA-PBEsol)

Data for a geometry-optimized Rb2SbSe structure.

a = 5.8790 Å, b = 5.8790 Å, c = 5.8790 Å
α = 60.00°, β = 60.00°, γ = 60.00°
Positions (direct):
Se (0.5000, 0.5000, 0.5000)
Rb (0.2500, 0.2500, 0.2500)
Sb (0.0000, 0.0000, 0.0000)
Rb (0.7500, 0.7500, 0.7500)

- calculated density (Mg/m³) = 4.3
- density of states at the Fermi level (states/eV/cell) = 5.262
- energy relative to the elements, uncorrected (eV per atom) = -0.1754
- calculated total energy (eV/atom) = -2.7899



# 6
## Ca4BeMo (GGA-PBEsol)

Data for a geometry-optimized Ca4BeMo structure.

a = 6.1937 Å, b = 6.1937 Å, c = 6.1937 Å
α = 60.00°, β = 60.00°, γ = 60.00°
Positions (direct):
Ca (0.3752, 0.8744, 0.3752)
Be (0.0000, 0.0000, 0.0000)
Ca (0.3752, 0.3752, 0.8744)
Ca (0.8744, 0.3752, 0.3752)
Mo (0.7500, 0.7500, 0.7500)
Ca (0.3752, 0.3752, 0.3752)

- calculated density (Mg/m³) = 2.6
- density of states at the Fermi level (states/eV/cell) = 5.392
- calculated total energy (eV/atom) = -2.7499
- formation energy from the elements (eV/atom) = 1.300



# 7
## InAg3 (GGA-PBEsol)

Data for a geometry-optimized InAg3 structure.

a = 5.2443 Å, b = 5.2443 Å, c = 5.2443 Å
α = 90.00°, β = 90.00°, γ = 90.00°
Positions (direct):
Ag (0.5000, 0.0000, 0.2500)
Ag (0.5000, 0.0000, 0.7500)
In (0.5000, 0.5000, 0.5000)
Ag (0.2500, 0.5000, 0.0000)
In (0.0000, 0.0000, 0.0000)